one.
H7O3S | ωB97M-V/def2-TZVPD

The LUMO energy is 3.99 eV. The HOMO energy comes out at -3.90 eV. The spin multiplicity is 1. Its HOMO-LUMO gap is 7.9 eV. Its net charge is -1.

Atoms and positions in Å:
S (0.864, 0.062, -0.059)
H (0.774, 1.407, 0.069)
H (-1.531, 0.182, -0.168)
H (-2.054, 0.017, 1.185)
O (-2.385, 0.161, 0.306)
H (0.807, -0.240, -2.379)
H (0.153, -1.137, -3.390)
O (0.972, -0.674, -3.250)
H (0.480, -0.401, 3.027)
H (0.075, 0.690, 2.198)
O (-0.127, 0.319, 3.048)

***

two.
H7O3S | ωB97M-V/def2-TZVPD

The LUMO energy is 3.47 eV. The HOMO energy comes out at -3.37 eV. The spin multiplicity is 1. Its HOMO-LUMO gap is 6.8 eV. Its net charge is -1.

Atoms and positions in Å:
S (-0.226, 2.239, 0.637)
H (-1.511, 2.604, 0.587)
H (1.259, -2.764, -1.486)
H (0.036, -3.628, -1.187)
O (0.822, -3.583, -1.736)
H (-2.650, -0.055, 0.664)
H (-2.441, 0.829, -0.509)
O (-2.943, 0.041, -0.251)
H (3.041, 1.451, 0.498)
H (1.821, 1.414, 1.353)
O (2.793, 1.451, 1.428)

***

The data favor one; the next most stable structure lies 13.3 kcal/mol above it.

***

one.
C7H15NO | ωB97M-V/def2-TZVPD

The LUMO energy is 0.80 eV. The HOMO energy comes out at -7.82 eV. Its SMILES is CN/C(O)=C(/C)C(C)C. The spin multiplicity is 1. Its HOMO-LUMO gap is 8.6 eV.

Atoms and positions in Å:
C (0.493, 1.716, 2.147)
N (1.383, 0.735, 1.532)
C (0.789, -0.480, 1.150)
O (1.096, -1.496, 2.037)
C (0.059, -0.669, 0.046)
C (-0.539, -2.022, -0.252)
C (-0.119, 0.434, -0.970)
C (-1.581, 0.876, -1.096)
C (0.431, -0.010, -2.329)
H (-0.291, 1.990, 1.444)
H (1.075, 2.604, 2.374)
H (0.022, 1.356, 3.068)
H (2.151, 0.526, 2.154)
H (0.775, -2.337, 1.698)
H (0.226, -2.736, -0.568)
H (-1.050, -2.424, 0.625)
H (-1.272, -1.956, -1.050)
H (0.479, 1.284, -0.630)
H (-1.950, 1.258, -0.156)
H (-2.215, 0.052, -1.394)
H (-1.677, 1.655, -1.837)
H (1.425, -0.435, -2.200)
H (-0.211, -0.761, -2.792)
H (0.502, 0.841, -3.002)

***

two.
C7H15NO | ωB97M-V/def2-TZVPD

The LUMO energy is -0.24 eV. The HOMO energy comes out at -9.30 eV. The spin multiplicity is 1. Its HOMO-LUMO gap is 9.1 eV.

Atoms and positions in Å:
C (-1.549, -0.162, -0.250)
C (0.956, -1.329, 0.246)
C (-1.387, 1.144, 0.211)
C (-2.238, -1.219, 0.528)
C (1.142, -1.151, 1.744)
H (-1.347, -0.358, -1.296)
H (0.341, -2.190, 0.004)
H (1.921, -1.437, -0.256)
H (-0.007, 1.485, 0.046)
H (-3.308, -1.164, 0.286)
H (-1.681, 1.904, -0.513)
H (-1.701, 1.352, 1.229)
H (-1.893, -2.213, 0.264)
H (-2.136, -1.066, 1.602)
H (0.187, -1.158, 2.271)
H (1.749, -1.958, 2.159)
H (1.629, -0.199, 1.941)
C (1.789, 1.771, -1.350)
O (1.298, 1.510, -0.080)
C (0.811, 1.498, -2.422)
N (-0.066, 1.261, -3.128)
H (0.719, -0.302, -0.208)
H (2.092, 2.827, -1.459)
H (2.678, 1.153, -1.567)

***

The data favor one; the next most stable structure lies 78.0 kcal/mol above it.

***

one.
C7H15NO | ωB97M-V/def2-TZVPD

The LUMO energy is 0.90 eV. The HOMO energy comes out at -8.45 eV. Its SMILES is C#CN(C)C.CC(C)O. The spin multiplicity is 1. Its HOMO-LUMO gap is 9.4 eV.

Atoms and positions in Å:
C (0.469, -1.340, -1.532)
C (0.809, -0.329, -0.952)
N (1.457, 0.726, -0.345)
C (2.453, 0.320, 0.635)
C (1.952, 1.708, -1.300)
H (0.324, -2.268, -2.008)
H (2.016, -0.397, 1.330)
H (3.348, -0.145, 0.197)
H (2.753, 1.209, 1.197)
H (2.804, 1.353, -1.897)
H (2.249, 2.599, -0.741)
H (1.144, 1.966, -1.983)
C (-1.165, -0.743, 1.662)
C (-1.994, 0.010, 0.625)
C (-2.743, -0.954, -0.290)
O (-1.176, 0.842, -0.193)
H (-0.444, -1.380, 1.159)
H (-1.806, -1.365, 2.278)
H (-0.633, -0.046, 2.310)
H (-2.730, 0.636, 1.156)
H (-3.443, -1.564, 0.277)
H (-3.290, -0.392, -1.043)
H (-2.030, -1.599, -0.794)
H (-0.326, 1.153, 0.249)

***

two.
C7H15NO | ωB97M-V/def2-TZVPD

The LUMO energy (spin up / spin down) is 0.57 / 0.57 eV. The HOMO energy (spin up / spin down) comes out at -6.10 / -6.10 eV. The spin multiplicity is 1. Its HOMO-LUMO gap (spin up / spin down) is 6.7 / 6.7 eV.

Atoms and positions in Å:
C (-0.072, -0.156, -0.657)
C (0.826, -0.099, 0.396)
C (1.297, -1.629, -1.340)

Duplicate the lines above up to the one that holds "-3.128)", that line included.

one.
H7O3S | ωB97M-V/def2-TZVPD

The LUMO energy is 3.99 eV. The HOMO energy comes out at -3.90 eV. The spin multiplicity is 1. Its HOMO-LUMO gap is 7.9 eV. Its net charge is -1.

Atoms and positions in Å:
S (0.864, 0.062, -0.059)
H (0.774, 1.407, 0.069)
H (-1.531, 0.182, -0.168)
H (-2.054, 0.017, 1.185)
O (-2.385, 0.161, 0.306)
H (0.807, -0.240, -2.379)
H (0.153, -1.137, -3.390)
O (0.972, -0.674, -3.250)
H (0.480, -0.401, 3.027)
H (0.075, 0.690, 2.198)
O (-0.127, 0.319, 3.048)

***

two.
H7O3S | ωB97M-V/def2-TZVPD

The LUMO energy is 3.47 eV. The HOMO energy comes out at -3.37 eV. The spin multiplicity is 1. Its HOMO-LUMO gap is 6.8 eV. Its net charge is -1.

Atoms and positions in Å:
S (-0.226, 2.239, 0.637)
H (-1.511, 2.604, 0.587)
H (1.259, -2.764, -1.486)
H (0.036, -3.628, -1.187)
O (0.822, -3.583, -1.736)
H (-2.650, -0.055, 0.664)
H (-2.441, 0.829, -0.509)
O (-2.943, 0.041, -0.251)
H (3.041, 1.451, 0.498)
H (1.821, 1.414, 1.353)
O (2.793, 1.451, 1.428)

***

The data favor one; the next most stable structure lies 13.3 kcal/mol above it.

***

one.
C7H15NO | ωB97M-V/def2-TZVPD

The LUMO energy is 0.80 eV. The HOMO energy comes out at -7.82 eV. Its SMILES is CN/C(O)=C(/C)C(C)C. The spin multiplicity is 1. Its HOMO-LUMO gap is 8.6 eV.

Atoms and positions in Å:
C (0.493, 1.716, 2.147)
N (1.383, 0.735, 1.532)
C (0.789, -0.480, 1.150)
O (1.096, -1.496, 2.037)
C (0.059, -0.669, 0.046)
C (-0.539, -2.022, -0.252)
C (-0.119, 0.434, -0.970)
C (-1.581, 0.876, -1.096)
C (0.431, -0.010, -2.329)
H (-0.291, 1.990, 1.444)
H (1.075, 2.604, 2.374)
H (0.022, 1.356, 3.068)
H (2.151, 0.526, 2.154)
H (0.775, -2.337, 1.698)
H (0.226, -2.736, -0.568)
H (-1.050, -2.424, 0.625)
H (-1.272, -1.956, -1.050)
H (0.479, 1.284, -0.630)
H (-1.950, 1.258, -0.156)
H (-2.215, 0.052, -1.394)
H (-1.677, 1.655, -1.837)
H (1.425, -0.435, -2.200)
H (-0.211, -0.761, -2.792)
H (0.502, 0.841, -3.002)

***

two.
C7H15NO | ωB97M-V/def2-TZVPD

The LUMO energy is -0.24 eV. The HOMO energy comes out at -9.30 eV. The spin multiplicity is 1. Its HOMO-LUMO gap is 9.1 eV.

Atoms and positions in Å:
C (-1.549, -0.162, -0.250)
C (0.956, -1.329, 0.246)
C (-1.387, 1.144, 0.211)
C (-2.238, -1.219, 0.528)
C (1.142, -1.151, 1.744)
H (-1.347, -0.358, -1.296)
H (0.341, -2.190, 0.004)
H (1.921, -1.437, -0.256)
H (-0.007, 1.485, 0.046)
H (-3.308, -1.164, 0.286)
H (-1.681, 1.904, -0.513)
H (-1.701, 1.352, 1.229)
H (-1.893, -2.213, 0.264)
H (-2.136, -1.066, 1.602)
H (0.187, -1.158, 2.271)
H (1.749, -1.958, 2.159)
H (1.629, -0.199, 1.941)
C (1.789, 1.771, -1.350)
O (1.298, 1.510, -0.080)
C (0.811, 1.498, -2.422)
N (-0.066, 1.261, -3.128)